Exercise:
What is needed: reproduce the listing underneath from the line with "0.3699 0.6352" to the end character by character.

Listing:
+++
Record 1
A relaxed structure of BaCa2Tl8. Source: Alexandria via LeMat-Bulk, functional PBE.

Cell: 4.9690 6.7157 11.6450 Å, 106.76 101.83 90.00°
Atoms (fractional coordinates):
Ba 0.0000 0.0000 0.0000
Ca 0.2150 0.7147 0.4294
Ca 0.7850 0.2853 0.5706
Tl 0.6301 0.3648 0.2499
Tl 0.3699 0.1150 0.7501
Tl 0.8029 0.8065 0.6131
Tl 0.1971 0.1935 0.3869
Tl 0.6301 0.8850 0.2499
Tl 0.3699 0.6352 0.7501
Tl 0.0782 0.5687 0.1374
Tl 0.9218 0.4313 0.8626

Properties
Space group: C2/m

Record 2
A relaxed structure of Ba5Ca2Tl5. Source: Alexandria via LeMat-Bulk, functional PBE.

Cell: 5.9650 5.9650 15.8704 Å, 78.86 78.86 60.03°
Atoms (fractional coordinates):
Ba 0.5000 0.5000 0.5000
Ba 0.3114 0.3114 0.0656
Ba 0.2215 0.2215 0.3382
Ba 0.7785 0.7785 0.6618
Ba 0.6886 0.6886 0.9344
Ca 0.0688 0.0688 0.7902
Ca 0.9312 0.9312 0.2098
Tl 0.8572 0.8572 0.4301
Tl 0.3971 0.3971 0.8036
Tl 0.6029 0.6029 0.1964
Tl 0.1428 0.1428 0.5699
Tl 0.0000 0.0000 0.0000

Properties
Space group: C2/m

In the order shown, the computed energy values come out to -2.45, -2.45 eV/atom.
In the order shown, the computed ΔE_f values come out to -194, -324 meV/atom.
In the order shown, the computed DOS(E_F) values come out to 6.85, 10.41 states/eV per cell.


First-principles (PBE-GGA) data for a relaxed Mn2WBr crystal, as listed in Alexandria via LeMat-Bulk.

Structure (POSCAR):
```
Mn2WBr
1.0
3.089 0.000 0.000
0.000 3.128 0.000
0.000 0.000 7.303
Mn W Br
2 1 1
Direct
0.000 0.000 0.203
0.000 0.000 0.797
0.500 0.500 0.000
0.500 0.000 0.500
```

Formation energy (no corrections) (eV/atom): 0.376
DFT total energy (eV/atom): -7.87
Symmetry: Pmmm (47)
Volume (Å³/cell): 70.6
Magnetic moment (μB/atom): 1.305
Polymorph energy (0 for the lowest one) (meV per atom): 0

First-principles (PBE-GGA) data for a relaxed Mn2WBr crystal, as listed in Alexandria via LeMat-Bulk.

Structure (POSCAR):
```
Mn2WBr
1.0
3.100 0.000 0.000
0.000 3.100 0.000
0.000 0.000 6.963
Mn W Br
2 1 1
Direct
0.000 0.000 0.000
0.500 0.500 0.220
0.000 0.000 0.392
0.500 0.500 0.738
```

Formation energy (no corrections) (eV/atom): 0.575
DFT total energy (eV/atom): -7.67
Symmetry: P4mm (99)
Volume (Å³/cell): 66.9
Magnetic moment (μB/atom): 1.146
Polymorph energy (0 for the lowest one) (meV per atom): 200

First-principles (PBE-GGA) data for a relaxed MnW2Br crystal, as listed in Alexandria via LeMat-Bulk.

Structure (POSCAR):
```
MnW2Br
1.0
-1.468 2.269 4.508
1.468 -2.269 4.508
1.468 2.269 -4.508
Mn W Br
1 2 1
Direct
0.000 0.000 0.000
0.237 0.737 0.500
0.529 0.529 0.000
0.775 0.275 0.500
```

Formation energy (no corrections) (eV/atom): 0.955
DFT total energy (eV/atom): -8.23
Symmetry: Imm2 (44)
Volume (Å³/cell): 60.1
Magnetic moment (μB/atom): 0.000
Polymorph energy (0 for the lowest one) (meV per atom): 486

First-principles (PBE-GGA) data for a relaxed MnW2Br crystal, as listed in Alexandria via LeMat-Bulk.

Structure (POSCAR):
```
MnW2Br
1.0
3.248 0.000 0.000
0.000 3.140 0.000
-0.016 0.000 7.407
Mn W Br
1 2 1
Direct
0.000 0.000 0.000
0.499 0.500 0.795
0.997 0.000 0.607
0.991 0.500 0.305
```

Formation energy (no corrections) (eV/atom): 0.469
DFT total energy (eV/atom): -8.72
Symmetry: Pm (6)
Volume (Å³/cell): 75.6
Magnetic moment (μB/atom): 0.861
Polymorph energy (0 for the lowest one) (meV per atom): 0

First-principles (PBE-GGA) data for a relaxed MnW2Br crystal, as listed in Alexandria via LeMat-Bulk.

Structure (POSCAR):
```
MnW2Br
1.0
-2.142 2.142 3.635
2.142 -2.142 3.635
2.142 2.142 -3.635
Mn W Br
1 2 1
Direct
0.000 0.000 0.000
0.250 0.750 0.500
0.500 0.500 0.000
0.750 0.250 0.500
```

Formation energy (no corrections) (eV/atom): 1.174
DFT total energy (eV/atom): -8.01
Symmetry: I-4m2 (119)
Volume (Å³/cell): 66.7
Magnetic moment (μB/atom): 0.998
Polymorph energy (0 for the lowest one) (meV per atom): 705

First-principles (PBE-GGA) data for a relaxed MnW2Br crystal, as listed in Alexandria via LeMat-Bulk.

Structure (POSCAR):
```
MnW2Br
1.0
3.060 0.000 0.000
0.000 4.507 0.000
0.000 0.000 4.807
Mn W Br
1 2 1
Direct
+++

Here it is:
Tl 0.3699 0.6352 0.7501
Tl 0.0782 0.5687 0.1374
Tl 0.9218 0.4313 0.8626

Properties
Space group: C2/m

Record 2
A relaxed structure of Ba5Ca2Tl5. Source: Alexandria via LeMat-Bulk, functional PBE.

Cell: 5.9650 5.9650 15.8704 Å, 78.86 78.86 60.03°
Atoms (fractional coordinates):
Ba 0.5000 0.5000 0.5000
Ba 0.3114 0.3114 0.0656
Ba 0.2215 0.2215 0.3382
Ba 0.7785 0.7785 0.6618
Ba 0.6886 0.6886 0.9344
Ca 0.0688 0.0688 0.7902
Ca 0.9312 0.9312 0.2098
Tl 0.8572 0.8572 0.4301
Tl 0.3971 0.3971 0.8036
Tl 0.6029 0.6029 0.1964
Tl 0.1428 0.1428 0.5699
Tl 0.0000 0.0000 0.0000

Properties
Space group: C2/m

In the order shown, the computed energy values come out to -2.45, -2.45 eV/atom.
In the order shown, the computed ΔE_f values come out to -194, -324 meV/atom.
In the order shown, the computed DOS(E_F) values come out to 6.85, 10.41 states/eV per cell.


First-principles (PBE-GGA) data for a relaxed Mn2WBr crystal, as listed in Alexandria via LeMat-Bulk.

Structure (POSCAR):
```
Mn2WBr
1.0
3.089 0.000 0.000
0.000 3.128 0.000
0.000 0.000 7.303
Mn W Br
2 1 1
Direct
0.000 0.000 0.203
0.000 0.000 0.797
0.500 0.500 0.000
0.500 0.000 0.500
```

Formation energy (no corrections) (eV/atom): 0.376
DFT total energy (eV/atom): -7.87
Symmetry: Pmmm (47)
Volume (Å³/cell): 70.6
Magnetic moment (μB/atom): 1.305
Polymorph energy (0 for the lowest one) (meV per atom): 0

First-principles (PBE-GGA) data for a relaxed Mn2WBr crystal, as listed in Alexandria via LeMat-Bulk.

Structure (POSCAR):
```
Mn2WBr
1.0
3.100 0.000 0.000
0.000 3.100 0.000
0.000 0.000 6.963
Mn W Br
2 1 1
Direct
0.000 0.000 0.000
0.500 0.500 0.220
0.000 0.000 0.392
0.500 0.500 0.738
```

Formation energy (no corrections) (eV/atom): 0.575
DFT total energy (eV/atom): -7.67
Symmetry: P4mm (99)
Volume (Å³/cell): 66.9
Magnetic moment (μB/atom): 1.146
Polymorph energy (0 for the lowest one) (meV per atom): 200

First-principles (PBE-GGA) data for a relaxed MnW2Br crystal, as listed in Alexandria via LeMat-Bulk.

Structure (POSCAR):
```
MnW2Br
1.0
-1.468 2.269 4.508
1.468 -2.269 4.508
1.468 2.269 -4.508
Mn W Br
1 2 1
Direct
0.000 0.000 0.000
0.237 0.737 0.500
0.529 0.529 0.000
0.775 0.275 0.500
```

Formation energy (no corrections) (eV/atom): 0.955
DFT total energy (eV/atom): -8.23
Symmetry: Imm2 (44)
Volume (Å³/cell): 60.1
Magnetic moment (μB/atom): 0.000
Polymorph energy (0 for the lowest one) (meV per atom): 486

First-principles (PBE-GGA) data for a relaxed MnW2Br crystal, as listed in Alexandria via LeMat-Bulk.

Structure (POSCAR):
```
MnW2Br
1.0
3.248 0.000 0.000
0.000 3.140 0.000
-0.016 0.000 7.407
Mn W Br
1 2 1
Direct
0.000 0.000 0.000
0.499 0.500 0.795
0.997 0.000 0.607
0.991 0.500 0.305
```

Formation energy (no corrections) (eV/atom): 0.469
DFT total energy (eV/atom): -8.72
Symmetry: Pm (6)
Volume (Å³/cell): 75.6
Magnetic moment (μB/atom): 0.861
Polymorph energy (0 for the lowest one) (meV per atom): 0

First-principles (PBE-GGA) data for a relaxed MnW2Br crystal, as listed in Alexandria via LeMat-Bulk.

Structure (POSCAR):
```
MnW2Br
1.0
-2.142 2.142 3.635
2.142 -2.142 3.635
2.142 2.142 -3.635
Mn W Br
1 2 1
Direct
0.000 0.000 0.000
0.250 0.750 0.500
0.500 0.500 0.000
0.750 0.250 0.500
```

Formation energy (no corrections) (eV/atom): 1.174
DFT total energy (eV/atom): -8.01
Symmetry: I-4m2 (119)
Volume (Å³/cell): 66.7
Magnetic moment (μB/atom): 0.998
Polymorph energy (0 for the lowest one) (meV per atom): 705

First-principles (PBE-GGA) data for a relaxed MnW2Br crystal, as listed in Alexandria via LeMat-Bulk.

Structure (POSCAR):
```
MnW2Br
1.0
3.060 0.000 0.000
0.000 4.507 0.000
0.000 0.000 4.807
Mn W Br
1 2 1
Direct